Most frequently used LOINC codes

Mapping your local test codes to LOINC can seem like a daunting task. To help, we have refreshed rankings that represent how commonly other LOINC mappers use specific LOINC codes.

These new rankings replace the former “Top 2000+” lists, which had become outdated. Our new data applies rank values for the top 20,000—yes, twenty thousand—LOINC codes. So, while you can still extract a list of the most frequently used 2000 from the LOINC table, we now provide rankings for the next band of usage up to 20,000. As before, the rankings appear as a separate field in the LOINC database (named COMMON_TEST_RANK), and in LOINC searches in a column labeled “Rank”.

What has not changed is that relatively few codes account for much of the typical result volume. In the refreshed listing, the most common 2000 ranked LOINC codes represent about 99% of the test volume from the newly compiled data set.


Put the Pareto Principle to work for you. These LOINC codes represent the vast majority of test volume.

• Unrelated to this entry: calculated molecules:
- - -
{"formula": "C2H4N4O", "method": "wB97M-V/def2-TZVPD", "species": ["H", "N", "H", "N", "N", "C", "C", "O", "N", "H", "H"], "coordinates": [[-3.3060, 0.1762, 0.3468], [0.8748, -1.1999, -0.1357], [-1.6863, 1.1868, 0.4193], [1.4786, 1.0110, -0.0331], [-1.4665, -0.8184, 0.1990], [1.8425, -0.3829, -0.0230], [-0.2792, -0.4440, -0.0415], [0.1185, 0.9048, -0.1407], [-2.3112, 0.4067, -0.1361], [1.8000, 1.2763, 0.9948], [2.8347, -0.7126, 0.4922]], "atomic_forces_ev_per_a": [[3.3, 1.1, -1.0], [0.5, -0.6, 0.8], [-3.1, -1.7, -1.5], [2.4, -1.6, 2.3], [-0.4, 2.0, -2.0], [1.5, -0.4, 1.8], [0.5, -0.1, 0.0], [-1.9, 0.9, 0.0], [0.0, -0.4, 3.9], [-1.3, 0.0, -2.2], [-1.4, 0.8, -1.9]], "nbo_charge": [0.369, -0.455, 0.361, -0.291, -0.305, 0.240, 0.560, -0.377, -0.680, 0.359, 0.217], "homo_energy_ev": -8.8, "mol_weight_da": 100.1, "fmax_ha_per_bohr": 0.0754, "homo_lumo_gap_ev": 9.098, "lumo_ev": 0.26, "spin_multiplicity": 1, "e_above_lowest_ev": 5.092}

----------

Record 1
Formula: C22H48O14S5
Source: the OMol25 dataset
Level of theory: ωB97M-V with the def2-TZVPD basis set

Computed properties:
- Lowest unoccupied orbital energy: -0.19 eV
- E_tot: -106428.0619 eV
- Charge: 0
- Energy above the lowest of the compared OMol25 structures with the same formula, charge and spin: 58.6 kcal/mol
- HOMO level: -7.750 eV

Element x y z (Å)
C  15.80809  -15.59685  -5.55046
C  15.65015  -15.38999  -4.05677
C  16.49345  -14.23702  -3.59372
O  15.74096  -13.70118  -2.49543
C  14.45983  -14.07673  -2.64847
O  13.55911  -13.71072  -1.95557
O  14.33048  -14.86750  -3.74292
H  16.85647  -15.73772  -5.81474
H  15.27208  -14.78358  -6.03426
H  15.36482  -16.52525  -5.91922
H  15.81002  -16.27108  -3.43324
H  16.68464  -13.43835  -4.31269
H  17.45327  -14.56035  -3.18325
C  19.86010  -19.18114  -9.22077
C  18.55359  -18.71040  -9.84154
C  17.55848  -19.86422  -9.92335
O  16.29310  -19.22891  -9.76885
C  16.51523  -18.06764  -9.12243
O  15.67145  -17.49448  -8.49178
O  17.81587  -17.75822  -9.05753
H  19.94214  -18.99127  -8.15418
H  20.70600  -18.65250  -9.67382
H  20.05691  -20.21029  -9.52426
H  18.67183  -18.43324  -10.89241
H  17.64914  -20.58540  -9.10114
H  17.68324  -20.43099  -10.84314
C  20.29819  -22.99117  -14.74360
C  20.04929  -21.54694  -14.30140
C  19.68099  -20.53388  -15.41671
O  18.55387  -19.88466  -14.84008
C  18.12932  -20.47931  -13.72400
O  17.20497  -20.12727  -13.05984
O  18.98061  -21.46845  -13.36437
H  19.38238  -23.48386  -15.06491
H  20.74366  -23.56057  -13.93202
H  21.01392  -22.86023  -15.55988
H  20.99566  -21.24533  -13.84129
H  19.39055  -21.02020  -16.34844
H  20.47488  -19.80926  -15.57397
C  23.92046  -20.46902  -8.86822
S  22.80417  -21.78593  -9.43941
O  21.44938  -21.14878  -9.60728
C  23.66908  -22.04827  -11.05912
H  23.79445  -19.64648  -9.57498
H  24.94705  -20.83053  -8.81806
H  23.69554  -20.05544  -7.88586
H  23.50926  -21.14066  -11.64001
H  23.05945  -22.84866  -11.47320
H  24.70919  -22.29084  -10.87961
C  19.45604  -23.91949  -11.01437
- - -

What to know about the LOINC rankings

  • The data is derived from multiple sources. Three large research data sets, two from Observational Health Data Sciences and Informatics (OHDSI) and one from the National Patient-Centered Clinical Research Network (PCORnet) are included. Each comprises more than 20 individual site data sources. Additionally, data from three large hospital systems are included in the compilation.
  • The time period varies by data source; however, most sources restrict data to a period between 2018 and 2021.  
  • The data is exclusively from sources within the United States, but we hope to include non-U.S. data in the future. 
  • The new rankings do not include an “SI Version” specifically.  As a result, countries that use SI units may find some of their common tests unranked.  In those cases, we encourage you to look for the corresponding mass unit test to derive an approximate ranking.  LOINC will no longer provide that abstraction in a separate SI ranking field. 
  • If you would be willing to donate your institution’s data to Regenstrief Institute so that we can keep this valuable resource up-to-date, please contact us.

Caveats when using the rankings

  • LOINC has not verified the completeness nor accuracy of mappings of each site’s local observations to LOINC, so the data is reflective of how individual sites have mapped to LOINC without any Regenstrief input or review.
  • Sites tend to focus on mapping their more commonly performed observations first.  As a result, it is expected that more rarely reported observations may be even less represented in the data than in reality.
  • It is recognized that sites focus on mapping laboratory data to LOINC more than other clinical observations, and some of our sources mapped only laboratory data.  As a result, expect that clinical observations may have artificially lower rankings for this reason.
  • Above a rank of 10,000, the distinction between ranks becomes less meaningful.  For example, the difference between rank 14,000 and rank 16,000 may represent only a small frequency of usage.
  • SARS-CoV-2 observations:  Keep in mind that the data collection period for most sites included years prior to the COVD-19 pandemic.  As a result, SARS-CoV-2 codes may be underrepresented compared to the peak of the pandemic and overrepresented compared to other time periods.

Where to find the rankings

The Top 20,000 LOINC terms have their relative rank stored in the COMMON_TEST_RANK field of the LOINC table, which is handy if you're working directly with that file. You can find this column in search results on SearchLOINC. Also, RELMA has a "common lab tests only" filter that will limit searches to return only codes in this common test list.